By Ben E. Benjamin

The elbow is such an inconspicuous part of the body that we rarely notice it unless it hurts. Pain at the elbow is most often caused by injuries to the tendons. Sometimes a muscle injury is involved as well, which may cause the pain to extend down the forearm. There are other structures surrounding the elbow that can become strained or inflamed, but tendons and muscles cause the most troublesome problems.
Three common injuries account for the majority of elbow pain. If the elbow aches inside and is difficult to fully bend or straighten, most likely there is irritation inside the elbow joint. Pain felt on the lateral or medial side of the elbow is usually caused by tennis elbow or golfer’s elbow, respectively. In this article we will look at tennis elbow injuries.
What is It?
Tennis elbow is a slight tear or inflammation of the extensor carpi radialis brevis or longus mechanism, which may occur during a variety of different activities. The injury earned its name by plaguing several famous tennis players, but the vast majority of people with tennis elbow have never picked up a racquet.

The extensor carpi radialis brevis and extensor carpi radialis longus are extensors of the wrist. In 90 percent of cases, tennis elbow affects the tenoperiosteal junction of the brevis tendon. To locate the lateral epicondyle, where the tendons attach, bend your arm at a 90-degree angle, as though you were going to shake hands with someone, and then lean sideways against a wall. As you push your elbow gently against the wall, the knobby bone you feel is the lateral epicondyle. The brevis tendon lies right on top of this bone. Tears can also occur in the body of the tendon, at the musculotendinous junction, in the muscle belly, or in the longus tendon at the supracondylar ridge of the humerus (where the longus muscle originates), but these are less common (see Figure 1, below).
How and Why
This bothersome and often long-term injury is extremely common. It regularly afflicts people who lift heavy objects, scrub floors, wait tables, type at computers for extended periods of time, do massage for a living, or perform various types of construction work
—as well as those who play racquet sports. When racquet enthusiasts get tennis elbow, it’s usually because they haven’t warmed up properly, they’ve played for too long, or they’ve played with poor form, causing unnecessary strain to the extensor muscles of the wrist.

At first the pain from tennis elbow is hardly discernible, but about two weeks after the injury, the pain noticeably increases. During this interim, the tendon has suffered hundreds of micro-tears with normal activity and/or sports, building a large V-shaped scar that begins to hurt. Activities that place stress on the injured structure(s) cause pain at the lateral aspect of the elbow. The pain may extend into the forearm as far as the wrist if various parts of the muscle/tendon unit are injured. Lifting movements can lead to severe, sudden pain, causing people with tennis elbow to drop even light objects. While this injury persists, activities as simple as shaking hands and opening doors may be painful.
Tennis elbow is frequently complicated by reinjury; it is often difficult for athletes or others whose livelihoods require using their hands to rest long enough to heal naturally. One contributing factor may be the decrease in pain that people experience when they are warmed up and active. This creates the illusion that what they’re doing is not exacerbating the injury. As a result of repeated strain and tearing, the pain often reappears with greater force as time goes on.
Another factor that makes healing difficult is tennis elbow’s characteristic V-shaped tear (see Figure 2, right). The tear heals more quickly at the bottom, the narrower portion of the V. At the top of the tear, the new tissue has a greater distance to span and therefore takes longer to knit together. Due to this uneven healing, the person starts to feel better before the tendon is fully healed and strengthened, so it is easy to reinjure it and cause the formation of adhesive scarring to worsen.
Injury Verification—Resisted extension of the wrist
Have the client extend the injured arm out in front, making sure the elbow is straight. Ask the person to extend the wrist, as if imitating a traffic cop gesturing “Stop.” Then place one of your hands under the client’s wrist, creating a shelf for the hand to rest on. Place your other hand at the back of the client’s wrist, as shown. Ask the person to keep the hand in that position and not let you move it, as you pull the wrist forward with equal force (see Figure 3, below). If tennis elbow is present, this test will produce pain in the injured area. Use moderate force at first. If the injury is severe, this will be sufficient to cause mild pain. If the injury is mild, you and the client will need to apply more force to verify the injury.

# SrCa2Lu10O18 | the Materials Project | PBE | optimized geometry
# - MP2020-corrected energy: -520.90 eV/cell
# - VASP energy: -8.00 eV/atom
# - ΔH_f (0 K): -3886.4 meV per atom
# - Symmetry: P1, No. 1
data_SrCa2Lu10O18
_symmetry_space_group_name_H-M 'P 1'
_symmetry_Int_Tables_number 1
_symmetry_space_group_name_Hall 'P 1'
_cell_length_a 3.306
_cell_length_b 17.428
_cell_length_c 17.430
_cell_angle_alpha 60.05
_cell_angle_beta 89.92
_cell_angle_gamma 89.94
loop_
_atom_site_label
_atom_site_fract_x
_atom_site_fract_y
_atom_site_fract_z
_atom_site_occupancy
O1 0.751 0.256 0.106 1
O2 0.747 0.541 0.640 1
Lu1 0.752 0.768 0.117 1
O3 0.750 0.978 0.584 1
Lu2 0.242 0.551 0.896 1
Lu3 0.242 0.553 0.548 1
O4 0.751 0.847 0.973 1
O5 0.257 0.809 0.694 1
Lu4 0.251 0.328 0.998 1
O6 0.258 0.497 0.809 1
Lu5 0.751 0.116 0.116 1
Lu6 0.758 0.784 0.435 1
Lu7 0.744 0.448 0.451 1
Lu8 0.756 0.780 0.784 1
O7 0.752 0.315 0.913 1
O8 0.750 0.438 0.977 1
Lu9 0.758 0.436 0.779 1
O9 0.754 0.635 0.250 1
O10 0.751 0.975 0.181 1
O11 0.247 0.550 0.023 1
O12 0.752 0.106 0.639 1
O13 0.752 0.913 0.771 1
O14 0.251 0.025 0.807 1
O15 0.254 0.359 0.755 1
Lu10 0.259 0.221 0.218 1
Lu11 0.252 0.885 0.231 1
O16 0.249 0.456 0.363 1
O17 0.251 0.096 0.218 1
Ca1 0.752 0.670 0.002 1
O18 0.253 0.886 0.364 1
Lu12 0.251 0.882 0.888 1
O19 0.251 0.169 0.025 1
O20 0.746 0.820 0.544 1
O21 0.758 0.494 0.199 1
Ca2 0.751 0.002 0.327 1
O22 0.748 0.577 0.450 1
O23 0.745 0.638 0.820 1
Lu13 0.742 0.450 0.102 1
Lu14 0.241 0.897 0.552 1
Sr1 0.966 0.339 0.331 1
O24 0.758 0.198 0.305 1
Sr2 0.464 0.667 0.660 1
O25 0.751 0.178 0.848 1
Lu15 0.744 0.103 0.447 1
Lu16 0.251 0.230 0.882 1
O26 0.752 0.779 0.313 1
Ca3 0.751 0.327 0.669 1
O27 0.244 0.361 0.178 1
O28 0.248 0.025 0.426 1
O29 0.253 0.755 0.884 1
O30 0.251 0.817 0.156 1
Lu17 0.751 0.115 0.768 1
Lu18 0.251 0.997 0.675 1
Lu19 0.260 0.217 0.562 1
O31 0.246 0.179 0.460 1
Ca4 0.251 0.673 0.328 1
O32 0.257 0.695 0.508 1
O33 0.759 0.304 0.499 1
O34 0.249 0.422 0.552 1
Lu20 0.259 0.564 0.220 1
O35 0.252 0.217 0.688 1
O36 0.252 0.687 0.091 1
**Here the page continues:**

Treatment Choices
Self-treatment is an option, but it takes patience. With rest alone, recovery is very slow. In those under 60, the average healing time is between six months and a year. For those over 60, healing may take up to two years. A few simple measures can speed the healing process. A person who stops activities that reinjure the elbow will often heal in 2–4 months. That includes both simple and strenuous activity that causes pain—for example, lifting a frying pan or playing the piano, as well as lifting a heavy box. Also, applying ice or heat to the injured area daily can stimulate circulation. In mild cases just following the exercise program described later in this article may be all that is needed.
Medical Treatment
l. Deep Massage and Friction Therapy
A combination of deep massage of the forearm muscles (to enhance circulation) and friction therapy of the tendon (to diminish adhesive scar tissue) is often an effective treatment for tennis elbow. Perform the friction first and end the treatment with massage. If the client is very sensitive at the injury site, you might experiment with alternating between the two.

Friction therapy for tennis elbow
—The tenoperiosteal junction of the extensor carpi radialis brevis
To perform friction at this location, have the client bend the elbow at a 90-degree angle, with the forearm fully supinated. With one hand, hold the client’s wrist and supinate it. Use your other hand to find the lateral epicondyle, and place the tip of your thumb at its lateral edge. (The tendon attachment is on top of the lateral epicondyle.) Making sure that the client’s hand remains supinated, press down and friction medially toward the center of the elbow. Repeat this action for 5–6 minutes, then take a break and repeat. After you’ve completed the friction therapy, massage the entire arm to ensure maximum blood circulation to the tendon. Friction twice a week for 10–15 minutes, along with deep massage to the arm and shoulder area. After the second treatment, encourage the client to do the rehabilitation exercises described later in this article.
—The tendon body of the extensor carpi radialis brevis
With the client’s elbow still bent at a 90-degree angle, place the tip of your thumb on the lateral epicondyle. Now move your thumb distally along the tendon for about half an inch. You are now on the tendon body, which lies on top of the head of the radius. (To check that you’re in the right place, ask the client to supinate and pronate the forearm. With supination, the radial head should push up under your finger. With pronation, the radial head should momentarily move away from your finger and then disappear.) Friction perpendicularly across the tendon, applying pressure in one direction only (either direction is okay). Continue for 5–6 minutes, then rest and repeat.
—The extensor carpi radialis longus
To find the attachment site of the extensor carpi radialis longus, place the tip of your thumb on the lateral epicondyle and move directly superior. You will feel a very sharp edge of bone, called the supracondylar ridge, that extends up the upper arm for several inches. The longus tendon is attached to the anterior aspect of the lowest half-inch or so of the supracondylar ridge. To work the fibers at a 90-degree angle, you must perform the friction motion in an inferior to superior direction as if you were moving up and down the upper arm. Continue for 5–6 minutes, then rest and repeat. If the tendon body, the tenoperiosteal junction, and the longus tendon are all injured, spend 5–6 minutes on each area.
2. Exercise Rehabilitation
This five-part program must be done daily to rehabilitate and strengthen the tendon. Give the client the following instructions:
Step 1. Warm up the arm for 2–3 minutes by gently moving the wrist back and forth anteriorly and posteriorly (as though you are waving goodbye to someone).

Step 2. Stretch the tendon by placing the back of the hand on a table with the elbow straight. Press down until you feel a stretch or slight pulling sensation in the forearm. Hold that position for 30 seconds, and repeat five times (see Figure 4, above).
Step 3. Sitting in a chair, bend slightly forward and rest the elbow of the injured arm on your knee. Hold a light weight in your hand with the palm facing the floor. Lift the wrist up as far as it will go, then slowly bring it back to its original position. Do three sets of ten repetitions. If you’re using the appropriate amount of weight, the forearm will feel slightly tired during the last set of ten repetitions. Begin with 1 or 2 pounds. If you feel no fatigue in the last set, add more weight the next day. If you feel fatigue before the last set, stop and use less weight the next day. It may be necessary to begin with as little as a half a pound in some cases. Stay at the same weight for about a week or until you do not tire during the last set, and then increase by 1 pound (see Figure 5, below).

Step 4. Repeat the stretch as described above in Step 2.
Step 5. Apply ice or heat to the elbow for 5–10 minutes.
Continue increasing the amount of weight for 6–8 weeks. The average person should be able to lift 8–10 pounds before resuming strenuous activity.
3. Injection Therapy
Corticosteroid injection is an effective treatment for tennis elbow, but only when administered properly. The precise area of injury must be identified and injected thoroughly, or else the pain will return. The injection should be followed by a week of rest, and then a period of strength building (as described above), before normal activity is resumed. During the healing process, a person recovering from tennis elbow has one relatively weak muscle surrounded by many stronger ones. The weak one is not able to pull its weight, and this can cause injury to occur again.
Proliferant injection, which helps to strengthen the fibers of the injured tendon, is often an effective treatment for stubborn cases of tennis elbow when the other approaches described have failed. It often takes several weeks after this type of injection for the client to feel well again.
Exercise Patience
Tennis elbow is a very common cause of elbow pain, and without proper treatment, it can persist for many months or years. With a thorough understanding of this condition and the hands-on techniques necessary to treat it, you can help speed healing and provide your clients with lasting relief. However, to avoid reinjury, patience is essential. As clients begin to feel better, they are often tempted to resume normal activity before the healing process is fully complete. At this stage, the damaged structures are still vulnerable and can easily be strained or torn again. Urge your clients to exercise caution while these tissues are gradually strengthened so that when their injuries heal, they heal for good.